Reporting Child Abuse

University policy and state law requires all professional 快活视频employees to report known or suspected child abuse. A report must be made in writing and verbally within 48 hours. The requirement exists regardless of whether abuse is ongoing or occurred in the past; even if the child is now an adult. If you suspect or know of abuse, follow the guidelines below to uphold your moral and legal responsibilities.   

Report Ongoing Abuse

Call 410-704-4444 immediately if you witness child abuse or neglect taking place on campus.

Decide Whether to Make a Report

You must make a report if you have reason to believe that a child has been subjected to abuse or neglect. If you are uncertain about reporting, consider if the information you have will enable authorities to initiate an investigation:

  • Could you provide sufficient information to identify and contact the victim?
  • Would the information allow authorities to determine whether the incident constituted child abuse or neglect under the law?

If you do not have the information above, you are not required to report the incident. However, you should still consider making a report if you genuinely suspect abuse or neglect.

Note that your report is considered appropriate and protected under Maryland law and 快活视频policy as long as it is made in good faith. If you are uncertain about reporting an incident, we encourage you to contact Police Chief Joe Herring at 410-704-5913. After business hours, call the TUPD non-emergency line at 410-704-2134.

Complete and Submit Reports

You must submit verbal and written reports as soon as possible.

Verbal Reports

Verbal reports should be made as soon as possible by calling the  or police department where the incident took place. If you are unsure of the location, call the Child Protective Services office nearest to where the disclosure was made.

Additionally, you should make a verbal report to the TUPD if you learned of the abuse/neglect during your duties as a professional employee of TU; if the situation involves the university community; or if the abuse/neglect occurred on university property or in connection with a university-sponsored activity. Call Police Chief Joe Herring at 410-704-5913 during normal business hours or the campus police at 410-704-2134 after hours.

Written Reports

If you are a professional 快活视频employee submitting a report about abuse/neglect that occurred in the course of your work duties, you must follow up the verbal report with a written report. The written report must be submitted within 48 hours of when your suspicions arose. It should include as much information as possible, focusing on what you directly witnessed, what has been disclosed to you, or what you鈥檝e learned as part of your regular professional responsibilities. If you do not have sufficient information for some sections of the form, leave them blank. Do not conduct independent inquiries into the incident.   

Once complete, the written report should be printed and faxed to the local  office, the local  office, and the TUPD. Take care to protect the privacy of the child by marking the report confidential. 

Report follow-up

Based on the report allegations, you may be contacted by Child Protective Services or Towson University for more information. Given state and federal child abuse confidentiality laws, it's also possible that you will not be contacted nor informed of the results of the investigation initiated by your report. If you are not contacted by Child Protective Services or TU, do not assume that your report was not adjudicated.

protections for those who report child abuse

The identity of individuals who report suspected child abuse or neglect is kept confidential by both Child Protective Services and Towson University. Maryland law and university policy offer immunity from reprisal to anyone who makes a good faith report of child maltreatment.

Frequently Asked Questions

Definitions and Warning Signs

Abuse is defined by Maryland law as 鈥渢he physical or mental injury of a child by any parent or other person who has permanent or temporary care or custody or responsibility for supervision of a child, or by any household or family member, under circumstances that indicate that the child鈥檚 health or welfare is harmed or at substantial risk of being harmed; or sexual abuse of a child, whether physical injuries are sustained or not. Sexual abuse is defined as any act that involves sexual molestation or exploitation of a child by a parent or other person who has permanent or temporary care or custody or responsibility for supervision of a child, or by any household or family member.鈥

Under Maryland law, neglect is defined as the failure to give proper care and attention to a child, including leaving the child unattended, by a parent or other person who has permanent or temporary care or custody or responsibility for supervision of the child under circumstances indicating that the child鈥檚 health or welfare is harmed or placed at substantial risk of harm; or that there has been mental injury to the child or there is a substantial risk of mental injury. Mental injury is defined as the observable, identifiable, and substantial impairment of a child鈥檚 mental or psychological ability to function.

Indicators of child abuse may include:

  • physical injuries
  • unexplained bruises or a pattern of bruises
  • cuts and burns
  • broken bones
  • welts and abrasions
  • bites, marks or puncture wounds
  • chipped teeth

Indicators of sexual abuse may include:

  • difficulty or pain walking
  • injury or reported pain and itching in groin area
  • expression of sexual knowledge or behavior inappropriate for age
  • verbalization of sexual involvement or victimization of other children
  • sexually suggestive behavior
  • pregnancy under 12 years of age


  • dirty, unkept appearance
  • serious untreated medical problems
  • obvious malnourishment
  • listlessness, fatigue
  • child left unattended or without supervision
  • inadequate clothing for weather

For the purposes of Maryland鈥檚 child abuse and neglect laws, a 鈥渃hild鈥 is defined as any individual under the age of eighteen (18) years.

Generally, physical discipline should be reported as abuse if it leaves an injury and either harmed the child or put the child鈥檚 health and welfare at substantial risk of harm. Child Protective Services will determine whether the punishment was abusive considering the totality of the circumstances, including the severity of the injury, nature of the punishment, gravity of the act being punished, and the adult鈥檚 attempt to use other nonphysical means of discipline.

Under the child abuse reporting law, sexual abuse is defined as 鈥渁ny act that involves sexual molestation or exploitation of a child by a parent or other person who has permanent or temporary care or custody or responsibility for supervision of a child or by any household or family member.鈥 It includes a wide array of sexual conduct.

Much of what is reported to Child Protective Services as child sexual abuse also constitutes a crime such as criminal child sexual abuse, sexual assault, incest or rape. However, not every sexual assault perpetrated on a child is reportable to Child Protective Services as child sexual abuse. Unless a sexual act was perpetrated by a parent, household or family member, or other person caring for or supervising a child, it is not considered reportable 鈥渃hild sexual abuse鈥 even if it constitutes sexual assault.

If you witness the sexual assault of a child or anyone else, call 911.

Reporting Requirements

TU鈥檚 policy on the reporting of suspected child abuse and neglect sets out the mandatory reporting requirements that are established by state law as they apply to the USM. The source of those legal requirements is a set of statutes in the Family Law Article of the Maryland Annotated Code, sections 5-701 through 5-708. The policy also applies requirements established in various opinions of the Attorney General that authoritatively interpret the Family Law Article statutes, and it includes USM-specific requirements for reporting to designated institution officials when an incident involves members of the campus community or institution-sponsored activities.

Under Maryland law, all adults in the state have an obligation to report suspected child abuse and neglect. However, the reporting requirements for members of the USM community are different, depending upon whether they are 鈥減rofessional employees.鈥

The law applies to health practitioners, educators/professional employees, human service workers, law enforcement officers, or other professional employees when acting in a professional capacity. 鈥淧rofessional employees鈥 includes anyone employed by the USM as a faculty member, administrator, coach; as well as any other employee who provides academic support, student service or institutional support activities and whose duties require either a college degree or comparable experience.

Any of these individuals who have 鈥渞eason to believe鈥 that a child has been subjected to abuse or neglect must call Child Protective Services or the local police and notify the Chief of Police. These employees must also promptly follow up the call with a written report sent to Child Protective Services, the State鈥檚 Attorney and the TUPD.

All other members of the campus community are required to call CPS or the police when they suspect abuse or neglect. They may choose to follow up with a written report, but are not required to.

The purpose of a report is to give information that enables Child Protective Services (CPS) and the police to begin an investigation of suspected abuse or neglect. These authorities need information sufficient to identify the child and decide whether the incident may constitute child abuse or neglect under the law. This includes information on whether the victim was a child (i.e., under 18) when the incident occurred; whether the alleged perpetrator was a parent, household or family member, or other person who had care, custody or supervision of the child when the maltreatment occurred; and information on whether the child was injured, harmed or at substantial risk of harm as a result of the alleged maltreatment.

If you do not have at least some of this essential information, you are not required to report the incident. However, you should still consider making a report if the facts you know genuinely lead you to suspect that child abuse or neglect occurred.

Yes, under Maryland law, all adults (18 and older) in the state have an obligation to verbally report suspected child abuse or neglect to Child Protective Services and/or the police. Students acting in an official capacity on behalf of the university may have additional obligations according to their role.

If an employee or student of the university learns of child abuse or neglect while traveling on a TU-sanctioned trip or as part of a study abroad/away experience, the student or employee must report to law enforcement or the social service agency in the locality where the disclosure was made.

Yes, reasonable suspicion of child abuse is to be reported even if the alleged abuse occurred in the past and the victim is now an adult. This requirement was clarified in an official Opinion of the Attorney General, 78 Op. Att鈥檡 Gen189 (1993), and is applicable to employees and other members of the USM community.

The intent of the law is to protect all children who are subjected to or who may be vulnerable to abuse or neglect. Note that criminal prosecution of a child abuser still can take place years after the abuse was committed, and that adult victims may still benefit from services to address the effects of past child abuse or neglect.

Maryland law requires that you make a report whenever there is reasonable suspicion of child abuse. If the individual does not want you to report, you may explain that you are mandated by law to report in an effort to protect children who may be at risk. In this situation, explain the victim鈥檚 concerns when making the report.

The name of the person who makes a report concerning abuse or maltreatment is kept in strict confidence and is not given to the victim or other individuals involved. Individuals who make reports are encouraged to give their names and contact information to the person taking the report so that additional information may be obtained at a later date if necessary. If an individual does not want to disclose his/her name, the report is still accepted.

In some situations, authorities may seek to interview the individual who made a report as part of their investigation of the suspected maltreatment. Information obtained in an interview that takes place in the course of an investigation may be part of the eventual CPS determination and any resulting proceedings related to the maltreatment incident.

While you are personally responsible for reporting suspected child maltreatment in any scenario, duplicative reporting is not required under the law or university policy in the following situations:

  • If you are a university employee or student working at a location off-campus where the law requires that you report suspected abuse or neglect to the head of that facility (e.g., a teaching intern assigned to a public school), you are only required to report the suspected maltreatment to Child Protective Services and the head of that facility, not to the Towson University Police Department unless the suspected abuser or neglector is an employee, contractor or volunteer of the university.
  • If you and another university colleague develop a reason to believe that child abuse or neglect has occurred in the process of your work together (e.g., as members of a treatment team, or through an employee/supervisor relationship), you may file a single, joint report.
  • If a disclosure of past abuse or neglect is made in a public group setting (e.g., in class or at a campus event), the individual(s) responsible for convening the group or event is responsible for making the report on behalf of the other attendees.

Call University Police at 410-704-4444 immediately. If you are off-campus, call 911. Provide whatever information you have about the incident. Then follow all of the other procedures for reporting suspected child abuse.


Example: A student discloses that she was sexually abused at the age of five by another sibling who was nine at the time.

Under Maryland鈥檚 Child Abuse reporting laws, sexual abuse is defined as an 鈥渁ct that involves sexual molestation or exploitation of a child 鈥 by any household or family member.鈥 Given that the two children are 鈥渉ousehold members鈥 you are mandated to report. The case worker can determine whether it should be investigated.

Example: In a class journal a student discloses, 鈥溾. I was once abused and this is what inspired me to choose this topic for my term paper.鈥

********
# 1
Below is a 9-piece molecular cluster, C47H75F17N11O12 overall, with properties calculated with ωB97M-V with the def2-TZVPD basis set.

Geometry as XYZ:
```
162
Properties=species:S:1:pos:R:3:lowdin_charge:R:1
C -6.69 5.35 2.88 -0.108
C -5.47 4.44 3.47 -0.197
C -4.70 3.61 2.32 -0.147
O -3.44 4.30 2.04 -0.045
N -2.38 3.64 2.50 -0.064
N -2.42 3.17 3.80 0.242
C -1.14 2.57 3.93 -0.037
C -0.78 1.92 5.36 -0.125
O -1.14 0.54 5.50 -0.176
C -2.54 0.35 5.82 -0.224
C -3.26 -0.24 4.49 -0.074
N -0.29 2.67 2.72 0.187
C 1.10 2.14 2.54 -0.218
F 1.02 0.79 3.03 0.092
F 1.44 2.00 1.17 0.124
C 2.20 2.90 3.43 -0.157
F 1.65 3.76 4.43 0.091
F 2.88 1.88 4.19 0.058
C 3.40 3.62 2.59 -0.184
F 4.18 4.23 3.64 0.084
F 4.23 2.59 2.11 0.116
C 2.97 4.78 1.61 -0.147
F 1.60 5.12 1.93 0.076
F 3.70 5.96 1.99 0.098
C 3.05 4.60 0.04 -0.175
F 3.41 3.33 -0.47 0.099
F 1.72 4.82 -0.50 0.068
C 3.99 5.65 -0.76 -0.161
F 5.35 5.63 -0.30 0.095
F 4.08 5.09 -2.09 0.076
C 3.38 7.11 -0.95 -0.189
F 4.49 8.03 -0.81 0.083
F 2.41 7.53 -0.02 0.106
C 2.78 7.43 -2.42 -0.291
F 1.75 6.55 -2.82 0.118
F 3.79 7.60 -3.41 0.107
F 2.16 8.72 -2.30 0.071
C -1.15 3.35 1.78 -0.024
O -0.78 3.66 0.46 0.087
C -1.88 3.53 -0.47 -0.278
O -2.55 4.58 -0.69 0.131
C -2.27 2.23 -1.28 -0.092
C -3.45 1.27 -0.90 -0.013
C -3.86 0.02 -1.74 -0.032
C -3.10 -0.36 -3.06 -0.018
C -1.89 0.58 -3.44 -0.037
C -1.49 1.84 -2.59 -0.011
H -6.95 5.08 1.79 0.074
H -6.42 6.47 2.86 0.085
H -7.61 5.21 3.54 0.078
H -5.79 3.82 4.37 0.112
H -4.71 5.22 3.87 0.114
H -4.61 2.49 2.52 0.121
H -5.35 3.72 1.36 0.138
H 0.34 2.02 5.64 0.140
H -1.34 2.54 6.16 0.152
H -2.63 -0.36 6.72 0.142
H -3.10 1.31 6.11 0.116
H -2.43 -0.42 3.71 0.087
H -3.70 -1.25 4.78 0.082
H -4.01 0.50 4.06 0.056
H -4.07 1.49 0.03 0.077
H -4.75 -0.68 -1.47 0.075
H -3.39 -1.25 -3.73 0.090
H -1.35 0.29 -4.42 0.088
H -0.60 2.43 -3.00 0.096
C -1.43 -3.01 -4.42 -0.310
O -1.63 -1.87 -4.81 -0.051
N -1.52 -4.14 -5.18 -0.169
C -1.26 -5.46 -4.64 -0.049
C -1.90 -4.01 -6.57 -0.041
H -1.13 -3.22 -3.38 0.107
H -0.44 -5.91 -5.20 0.090
H -2.16 -6.07 -4.74 0.093
H -0.99 -5.40 -3.58 0.066
H -1.17 -3.38 -7.09 0.093
H -2.88 -3.54 -6.64 0.097
H -1.94 -4.99 -7.05 0.074
C 4.15 -0.27 7.77 -0.328
O 4.12 -0.75 8.89 0.017
N 5.25 -0.19 6.97 -0.202
C 5.19 0.40 5.65 -0.062
C 6.51 -0.72 7.45 -0.041
H 3.24 0.17 7.31 0.130
H 5.48 -0.35 4.91 0.094
H 5.88 1.25 5.61 0.095
H 4.18 0.75 5.43 0.052
H 6.39 -1.78 7.67 0.094
H 6.79 -0.20 8.37 0.096
H 7.29 -0.59 6.70 0.088
C 0.58 -3.55 -1.59 -0.348
O 0.50 -4.73 -1.87 0.008
N 1.74 -2.88 -1.32 -0.196
C 1.74 -1.47 -0.99 -0.060
C 3.00 -3.60 -1.35 -0.040
H -0.31 -2.91 -1.54 0.124
H 2.35 -0.94 -1.72 0.091
H 2.17 -1.34 0.01 0.084
H 0.73 -1.06 -1.00 0.082
H 3.14 -4.02 -2.35 0.096
H 2.96 -4.42 -0.63 0.095
H 3.82 -2.93 -1.11 0.088
C 0.45 -4.03 10.38 -0.351
O -0.16 -2.99 10.20 0.000
N 1.80 -4.14 10.53 -0.206
C 2.45 -5.41 10.74 -0.065
C 2.61 -2.94 10.48 -0.052
H -0.07 -5.00 10.44 0.128
H 2.98 -5.39 11.69 0.090
H 3.16 -5.59 9.93 0.088
H 1.72 -6.22 10.76 0.082
H 2.29 -2.25 11.27 0.098
********

In this situation, the nature and extent of the action that the student refers to as 鈥渁buse鈥 is vague. It is not clear what the student meant by 鈥渁buse,鈥 and there is no indication whether the student was a child when it occurred or whether he or she experienced any injury as a result. The identity of the person who allegedly caused the abuse and their relationship with the student has not been disclosed. 

Based on this limited information, 鈥渞eason to believe鈥 has not been established so a reasonable decision would be not to report. Consider, however, providing counseling information to the individual as a resource.

Example: Written in a class journal, an instructor reads, 鈥淎s a child growing up in New York, I was molested and sexually abused repeatedly by my stepbrother who is 10 years older than me.鈥

The type of abuse described by the student was sexual abuse, and the stepbrother was identified as the person who caused the abuse. The abuse occurred while the student was a child. Based on the information disclosed, you have reason to believe abuse occurred. You should report the incident to CPS and the university designee. Also consider providing counseling information as a resource for the individual.

Example: a person whom I do not know emerges from the crowd at a campus event and describes past child abuse but does not identify herself at all.

In settings where many people are present during a disclosure of child abuse or neglect, only one report must be made. The USM expects that the event鈥檚 sponsors and/or supervisors will take responsibility for making a report under these circumstances.

In this example, event sponsors do not have an obligation to report if the speaker does not identify herself, or provide sufficient information about the abuse or the abuser for child protective authorities to take any action in response. However, for example, if the individual describes past child sexual abuse that involved his/her high school science teacher and provides identifying information about the school and/or the teacher, you must report. Such a report would give child protective authorities sufficient information to investigate further and, most importantly, to determine if any children currently may be at risk of abuse.